## Listing
~~~
Entry 1:
Diffraction record for Li4CrW3O12. The X-ray diffraction stick pattern is calculated, not measured: it uses a DFT-relaxed cell (PBE+U, the Materials Project) and a wavelength of 1.5418 Å.

Peak list (8 most intense, 2θ = 10–80°, in order of rising 2θ)
- hkl 1 1 0, 23.66°, 3.760 Å, intensity 100.0
- hkl 0 0 2, 23.76°, 3.744 Å, intensity 49.3
- hkl 1 1 -2, 32.80°, 2.730 Å, intensity 39.4
- hkl 1 -1 2, 32.99°, 2.716 Å, intensity 19.3
- hkl -1 1 2, 34.58°, 2.594 Å, intensity 27.9
- hkl 2 0 -2, 42.31°, 2.136 Å, intensity 15.5
- hkl 2 2 0, 48.42°, 1.880 Å, intensity 18.1
- hkl 1 3 0, 53.33°, 1.718 Å, intensity 19.6

Atomic structure:
abc: 5.1821 5.4784 7.5087
angles: 94.15 90.41 90.07
Atoms (fractional coordinates):
1 Li 0.0000 0.0000 0.0000
2 Li 0.0070 0.0438 0.4435
3 Li 0.4946 0.4864 0.9967
4 Li 0.5064 0.4801 0.4671
5 Cr 0.5032 0.0576 0.1946
6 W 0.9995 0.5606 0.7025
7 W 0.0065 0.5608 0.2027
8 W 0.5033 0.0559 0.6961
9 O 0.1265 0.5664 0.4485
10 O 0.1782 0.8681 0.7561
11 O 0.1960 0.2685 0.1343
12 O 0.2957 0.7532 0.1326
13 O 0.3080 0.3833 0.7545
14 O 0.3892 0.0770 0.4531
15 O 0.6185 0.0694 0.9376
16 O 0.6974 0.7397 0.6278
17 O 0.7012 0.3762 0.2464
18 O 0.8204 0.2591 0.6259
19 O 0.8208 0.8653 0.2439
20 O 0.8759 0.5636 0.9417

Entry 2:
Diffraction record for BaCaMnF7. The X-ray diffraction stick pattern is calculated, not measured: it uses a DFT-relaxed cell (PBE+U, the Materials Project) and a wavelength of 1.5418 Å.

Peak list (8 most intense, 2θ = 10–80°, in order of rising 2θ)
- hkl 1 2 -1, 24.12°, 3.689 Å, intensity 100.0
- hkl 1 1 -2, 24.46°, 3.640 Å, intensity 55.7
- hkl 1 2 1, 24.68°, 3.607 Å, intensity 41.8
- hkl 1 1 2, 25.53°, 3.489 Å, intensity 76.2
- hkl 0 1 3, 28.38°, 3.145 Å, intensity 31.8
- hkl 1 4 1, 38.72°, 2.326 Å, intensity 45.9
- hkl 2 2 -2, 38.82°, 2.320 Å, intensity 30.1
- hkl 0 2 4, 40.29°, 2.238 Å, intensity 34.9

Atomic structure:
abc: 5.8904 10.5382 9.8981
angles: 90.00 92.78 90.00
Atoms (fractional coordinates):
1 Ba 0.2206 0.1734 0.4931
2 Ba 0.2206 0.3266 0.9931
3 Ba 0.7794 0.6734 0.0069
4 Ba 0.7794 0.8266 0.5069
5 Ca 0.2058 0.5864 0.3239
6 Ca 0.2058 0.9136 0.8239
7 Ca 0.7942 0.0864 0.1761
8 Ca 0.7942 0.4136 0.6761
9 Mn 0.3088 0.6212 0.6964
10 Mn 0.3088 0.8788 0.1964
11 Mn 0.6912 0.1212 0.8036
12 Mn 0.6912 0.3788 0.3036
13 F 0.0191 0.7191 0.7714
14 F 0.0191 0.7809 0.2714
15 F 0.1128 0.5392 0.1156
16 F 0.1128 0.9608 0.6156
17 F 0.1601 0.0300 0.1366
18 F 0.1601 0.4700 0.6366
19 F 0.2131 0.6977 0.5282
20 F 0.2131 0.8023 0.0282
21 F 0.3820 0.0883 0.8971
22 F 0.3820 0.4117 0.3971
23 F 0.4113 0.5383 0.8556
24 F 0.4113 0.9617 0.3556
25 F 0.4751 0.7291 0.2599
26 F 0.4751 0.7709 0.7599
27 F 0.5249 0.2291 0.2401
28 F 0.5249 0.2709 0.7401
29 F 0.5887 0.0383 0.6444
30 F 0.5887 0.4617 0.1444
31 F 0.6180 0.5883 0.6029
32 F 0.6180 0.9117 0.1029
33 F 0.7869 0.1977 0.9718
34 F 0.7869 0.3023 0.4718
35 F 0.8399 0.5300 0.3634
36 F 0.8399 0.9700 0.8634
37 F 0.8872 0.0392 0.3844
38 F 0.8872 0.4608 0.8844
39 F 0.9809 0.2191 0.7286
40 F 0.9809 0.2809 0.2286

Entry 3:
Diffraction record for MgFe2Si2BiO9. The X-ray diffraction stick pattern is calculated, not measured: it uses a DFT-relaxed cell (PBE+U, the Materials Project) and a wavelength of 1.5418 Å.

Peak list (8 most intense, 2θ = 10–80°, in order of rising 2θ)
- hkl 0 0 1, 10.98°, 8.061 Å, intensity 100.0
- hkl 0 1 -1, 20.68°, 4.294 Å, intensity 90.0
- hkl -1 1 1, 22.27°, 3.992 Å, intensity 64.8
- hkl 1 -1 1, 22.49°, 3.954 Å, intensity 58.4
- hkl 0 1 1, 24.07°, 3.697 Å, intensity 76.9
- hkl 1 0 1, 24.23°, 3.674 Å, intensity 76.5
- hkl 1 0 -2, 26.78°, 3.329 Å, intensity 67.5
- hkl 0 1 -2, 26.92°, 3.312 Å, intensity 67.1

Atomic structure:
abc: 5.2871 5.2940 8.2357
angles: 95.40 96.46 119.34
Atoms (fractional coordinates):
1 Mg 0.0000 0.0000 0.0000
2 Fe 0.3409 0.6656 0.9402
3 Fe 0.6623 0.3458 0.9403
4 Si 0.1241 0.4638 0.3066
5 Si 0.4658 0.1299 0.3071
6 Bi 0.9037 0.9053 0.6467
7 O 0.0376 0.3807 0.1064
8 O 0.2734 0.2516 0.8146
9 O 0.3167 0.3172 0.3817
~~~
## Brief
It remains to type out all of the calculation results further above unchanged.
## Written answer
Entry 1:
Diffraction record for Li4CrW3O12. The X-ray diffraction stick pattern is calculated, not measured: it uses a DFT-relaxed cell (PBE+U, the Materials Project) and a wavelength of 1.5418 Å.

Peak list (8 most intense, 2θ = 10–80°, in order of rising 2θ)
- hkl 1 1 0, 23.66°, 3.760 Å, intensity 100.0
- hkl 0 0 2, 23.76°, 3.744 Å, intensity 49.3
- hkl 1 1 -2, 32.80°, 2.730 Å, intensity 39.4
- hkl 1 -1 2, 32.99°, 2.716 Å, intensity 19.3
- hkl -1 1 2, 34.58°, 2.594 Å, intensity 27.9
- hkl 2 0 -2, 42.31°, 2.136 Å, intensity 15.5
- hkl 2 2 0, 48.42°, 1.880 Å, intensity 18.1
- hkl 1 3 0, 53.33°, 1.718 Å, intensity 19.6

Atomic structure:
abc: 5.1821 5.4784 7.5087
angles: 94.15 90.41 90.07
Atoms (fractional coordinates):
1 Li 0.0000 0.0000 0.0000
2 Li 0.0070 0.0438 0.4435
3 Li 0.4946 0.4864 0.9967
4 Li 0.5064 0.4801 0.4671
5 Cr 0.5032 0.0576 0.1946
6 W 0.9995 0.5606 0.7025
7 W 0.0065 0.5608 0.2027
8 W 0.5033 0.0559 0.6961
9 O 0.1265 0.5664 0.4485
10 O 0.1782 0.8681 0.7561
11 O 0.1960 0.2685 0.1343
12 O 0.2957 0.7532 0.1326
13 O 0.3080 0.3833 0.7545
14 O 0.3892 0.0770 0.4531
15 O 0.6185 0.0694 0.9376
16 O 0.6974 0.7397 0.6278
17 O 0.7012 0.3762 0.2464
18 O 0.8204 0.2591 0.6259
19 O 0.8208 0.8653 0.2439
20 O 0.8759 0.5636 0.9417

Entry 2:
Diffraction record for BaCaMnF7. The X-ray diffraction stick pattern is calculated, not measured: it uses a DFT-relaxed cell (PBE+U, the Materials Project) and a wavelength of 1.5418 Å.

Peak list (8 most intense, 2θ = 10–80°, in order of rising 2θ)
- hkl 1 2 -1, 24.12°, 3.689 Å, intensity 100.0
- hkl 1 1 -2, 24.46°, 3.640 Å, intensity 55.7
- hkl 1 2 1, 24.68°, 3.607 Å, intensity 41.8
- hkl 1 1 2, 25.53°, 3.489 Å, intensity 76.2
- hkl 0 1 3, 28.38°, 3.145 Å, intensity 31.8
- hkl 1 4 1, 38.72°, 2.326 Å, intensity 45.9
- hkl 2 2 -2, 38.82°, 2.320 Å, intensity 30.1
- hkl 0 2 4, 40.29°, 2.238 Å, intensity 34.9

Atomic structure:
abc: 5.8904 10.5382 9.8981
angles: 90.00 92.78 90.00
Atoms (fractional coordinates):
1 Ba 0.2206 0.1734 0.4931
2 Ba 0.2206 0.3266 0.9931
3 Ba 0.7794 0.6734 0.0069
4 Ba 0.7794 0.8266 0.5069
5 Ca 0.2058 0.5864 0.3239
6 Ca 0.2058 0.9136 0.8239
7 Ca 0.7942 0.0864 0.1761
8 Ca 0.7942 0.4136 0.6761
9 Mn 0.3088 0.6212 0.6964
10 Mn 0.3088 0.8788 0.1964
11 Mn 0.6912 0.1212 0.8036
12 Mn 0.6912 0.3788 0.3036
13 F 0.0191 0.7191 0.7714
14 F 0.0191 0.7809 0.2714
15 F 0.1128 0.5392 0.1156
16 F 0.1128 0.9608 0.6156
17 F 0.1601 0.0300 0.1366
18 F 0.1601 0.4700 0.6366
19 F 0.2131 0.6977 0.5282
20 F 0.2131 0.8023 0.0282
21 F 0.3820 0.0883 0.8971
22 F 0.3820 0.4117 0.3971
23 F 0.4113 0.5383 0.8556
24 F 0.4113 0.9617 0.3556
25 F 0.4751 0.7291 0.2599
26 F 0.4751 0.7709 0.7599
27 F 0.5249 0.2291 0.2401
28 F 0.5249 0.2709 0.7401
29 F 0.5887 0.0383 0.6444
30 F 0.5887 0.4617 0.1444
31 F 0.6180 0.5883 0.6029
32 F 0.6180 0.9117 0.1029
33 F 0.7869 0.1977 0.9718
34 F 0.7869 0.3023 0.4718
35 F 0.8399 0.5300 0.3634
36 F 0.8399 0.9700 0.8634
37 F 0.8872 0.0392 0.3844
38 F 0.8872 0.4608 0.8844
39 F 0.9809 0.2191 0.7286
40 F 0.9809 0.2809 0.2286

Entry 3:
Diffraction record for MgFe2Si2BiO9. The X-ray diffraction stick pattern is calculated, not measured: it uses a DFT-relaxed cell (PBE+U, the Materials Project) and a wavelength of 1.5418 Å.

Peak list (8 most intense, 2θ = 10–80°, in order of rising 2θ)
- hkl 0 0 1, 10.98°, 8.061 Å, intensity 100.0
- hkl 0 1 -1, 20.68°, 4.294 Å, intensity 90.0
- hkl -1 1 1, 22.27°, 3.992 Å, intensity 64.8
- hkl 1 -1 1, 22.49°, 3.954 Å, intensity 58.4
- hkl 0 1 1, 24.07°, 3.697 Å, intensity 76.9
- hkl 1 0 1, 24.23°, 3.674 Å, intensity 76.5
- hkl 1 0 -2, 26.78°, 3.329 Å, intensity 67.5
- hkl 0 1 -2, 26.92°, 3.312 Å, intensity 67.1

Atomic structure:
abc: 5.2871 5.2940 8.2357
angles: 95.40 96.46 119.34
Atoms (fractional coordinates):
1 Mg 0.0000 0.0000 0.0000
2 Fe 0.3409 0.6656 0.9402
3 Fe 0.6623 0.3458 0.9403
4 Si 0.1241 0.4638 0.3066
5 Si 0.4658 0.1299 0.3071
6 Bi 0.9037 0.9053 0.6467
7 O 0.0376 0.3807 0.1064
8 O 0.2734 0.2516 0.8146
9 O 0.3167 0.3172 0.3817